
Showing posts from June 1, 2024

ADMKSF - 018.4

[Is that an exaggeration? ! ] [Just this sentence? Don't you want to talk about it carefully? ] Miki: "There's not much to say. I've eaten a lot of fish heads with chopped peppers, but I think Nanjianglou's fish heads with chopped peppers are the best in terms of both fish and pepper. There's a lot of meat on the fish heads. It's very fresh, with no fishy or earthy smell at all. I guess they put a lot of thought into this chili sauce. It's spicy enough and very exciting, unlike the kind that looks spicy but actually has no taste at all. It's so spicy. Brothers can come and try it.” Before finishing the fish head with chopped pepper, Miki couldn't bear to leave any leftovers, so he ordered another portion of rice. The result was the apologetic voice of the waiter: "I'm really sorry, we don't have enough rice supply at the moment. You may need to wait for five minutes!" Miki was stunned for a moment, then turned around and reali

ADMKSF - 018.3

Miki withdrew his gaze and took two steps forward. The interior of the Songzhu Hotel is actually very spacious, but it is crowded with people at the moment. Near the cashier in the lobby, two men are confronting each other with anger on their faces. Because they are far apart, he doesn't know what they are saying. Miki stretched his neck, lowered his head and saw fans urging him to come forward and take a look. Just as he was about to speak, he heard a voice in his ear: "Brother, are you coming to see the fun too?" Miki raised his eyes in confusion, and saw a teenage boy standing next to him at some point. The boy was very handsome, and at first glance, he only had legs below his chest. Miki couldn't help but looked down at his own again, and finally curled his lips in self-disgust before responding. Unexpectedly, when the young man heard this, he took the initiative to grab his wrist: "You can see some excitement here, I will take you to squeeze in." Miki:

ADMKSF - 018.2

Lin You returned to the bedroom before she remembered to ask the Pei Henan and his son if they wanted to go to Haishi Nanjiang Tower together tomorrow. She thought about it and mentioned it in the family group. Surprisingly, neither Pei Henan nor Pei Ye refused. Lin You thought to herself, this is the right thing, it’s free anyway, it would be a waste if you don’t eat it! So the next day Lin You got up and went to the living room only to find that the Pei Henan and his son had already changed their clothes for going out, but both of them were dressed casually. Pei Henan was wearing the simplest shirt and trousers, while Pei Ye was wearing short-sleeved sweatpants. Seeing Lin You staring at their clothes, Pei Henan hesitated for a moment, and suddenly asked softly: "Are we dressed too casually?" When Lin You heard this, she was afraid that Pei Henan's next sentence would be, 'Did I embarrass you?', so she quickly shook her head: "It's not an important occ

-- Crystal structures that have nothing to do with the piece --
/*
Record 1
! Rb2LiTcCl6 PBE relaxed; values from VASP
! Formation energy (no corrections) in meV/atom: -1406
! Density of states at the Fermi level in states/eV/f.u.: 5.7
! Space group: No. 166
&SYSTEM
  ibrav = 0, nat = 20, ntyp = 4
/
ATOMIC_SPECIES
Rb 85.47 Rb.upf
Li 6.94 Li.upf
Tc 98.00 Tc.upf
Cl 35.45 Cl.upf
CELL_PARAMETERS angstrom
3.584 2.070 11.864
-3.584 2.070 11.864
0.000 -4.139 11.864
ATOMIC_POSITIONS angstrom
Rb 0.000 0.000 4.459
Rb 0.000 0.000 10.457
Rb 0.000 0.000 25.136
Rb 0.000 0.000 31.134
Li 0.000 0.000 14.815
Li 0.000 0.000 20.778
Tc 0.000 0.000 0.000
Tc 0.000 0.000 17.797
Cl -1.698 -0.980 16.378
Cl 0.000 -2.163 13.263
Cl -1.873 1.082 13.263
Cl -1.873 -1.082 22.330
Cl 0.000 -1.961 19.215
Cl -1.698 0.980 19.215
Cl 1.698 -0.980 16.378
Cl 0.000 1.961 16.378
Cl 1.873 1.082 13.263
Cl 1.873 -1.082 22.330
Cl 0.000 2.163 22.330
Cl 1.698 0.980 19.215

Record 2
! RbLiTe2Cl PBE relaxed; values from VASP
! Formation energy (no corrections) in meV/atom: 95
! Density of states at the Fermi level in states/eV/f.u.: 8.5
! Space group: No. 123
&SYSTEM
  ibrav = 0, nat = 5, ntyp = 4
/
ATOMIC_SPECIES
Rb 85.47 Rb.upf
Li 6.94 Li.upf
Te 127.60 Te.upf
Cl 35.45 Cl.upf
CELL_PARAMETERS angstrom
6.771 0.000 0.000
0.000 6.771 0.000
0.000 0.000 5.976
ATOMIC_POSITIONS angstrom
Rb 0.000 0.000 0.000
Li 3.386 3.386 2.988
Te 0.000 3.386 0.000
Te 3.386 0.000 0.000
Cl 0.000 0.000 2.988

Record 3
! Rb2Li3ThCl12 PBE relaxed; values from VASP
! Formation energy (no corrections) in meV/atom: -1446
! Density of states at the Fermi level in states/eV/f.u.: 16.9
! Space group: No. 166
&SYSTEM
  ibrav = 0, nat = 18, ntyp = 4
/
ATOMIC_SPECIES
Rb 85.47 Rb.upf
Li 6.94 Li.upf
Th 232.04 Th.upf
Cl 35.45 Cl.upf
CELL_PARAMETERS angstrom
4.529 2.615 8.111
-4.529 2.615 8.111
0.000 -5.229 8.111
ATOMIC_POSITIONS angstrom
Rb 0.000 0.000 2.351
Rb 0.000 0.000 21.984
Li -2.264 -1.307 8.111
Li -2.264 1.307 16.223
Li 0.000 2.615 8.111
Th 0.000 0.000 12.167
Cl -1.985 -1.146 10.735
Cl 0.000 -2.452 7.912
Cl -2.124 1.226 7.912
Cl -2.124 -1.226 16.422
Cl 0.000 -2.292 13.600
Cl -1.985 1.146 13.600
Cl 1.985 -1.146 10.735
Cl 0.000 2.292 10.735
Cl 2.124 1.226 7.912
Cl 2.124 -1.226 16.422
Cl 0.000 2.452 16.422
Cl 1.985 1.146 13.600

Record 4
! RbLi2ThCl8 PBE relaxed; values from VASP
! Formation energy (no corrections) in meV/atom: -1748
! Density of states at the Fermi level in states/eV/f.u.: 4.4
! Space group: No. 12
&SYSTEM
  ibrav = 0, nat = 12, ntyp = 4
/
ATOMIC_SPECIES
Rb 85.47 Rb.upf
Li 6.94 Li.upf
Th 232.04 Th.upf
Cl 35.45 Cl.upf
CELL_PARAMETERS angstrom
6.087 -3.591 0.000
6.087 3.591 0.000
-0.343 0.000 9.585
ATOMIC_POSITIONS angstrom
Rb 0.000 0.000 0.000
Li 4.012 0.000 2.531
Li 7.819 0.000 7.054
Th -0.171 0.000 4.793
Cl 2.475 0.000 4.366
Cl 5.641 1.770 2.815
Cl 3.293 0.000 0.270
Cl 6.189 1.770 6.771
Cl 5.641 -1.770 2.815
Cl 8.537 0.000 9.315
Cl 6.189 -1.770 6.771
Cl 9.355 0.000 5.219

Record 5
! Rb3LiTl2Cl9 PBE relaxed; values from VASP
! Formation energy (no corrections) in meV/atom: -1363
*/

ADMKSF - 018.1

Pei Ye never dreamed that his father would trick him at this time. And he was like a newborn lamb that could only bleat. Before he could celebrate the joy of his new life, he unpreparedly stepped into the trap set by his father. From the corner of his eye, Pei Ye noticed Lin You's slightly narrowed eyes and her suddenly serious expression. He almost wanted to sew his father's mouth shut. In the dull atmosphere, he swallowed his throat and said in a very low voice: "I won't read it." The female anchor was right in front of him, and he was watching a fucking live broadcast. Unfortunately, this reason cannot be spoken out yet, otherwise we would not know whether it was the pole or his waist that was broken. Lin You glanced at him, and Pei Ye almost buried his face in his rice bowl. This guilty look that seemed like escaping made Lin You feel both angry and funny. After thinking for a while, she tapped the table with her fingers. Pei Ye carefully raised his eyes, sque

FVB - 093

Chapter 93 It’s not your turn to make the decision in the Li family "Bitch, stop fooling people here!"    The middle-aged man roared angrily.    Jiang Jin sneered: "Every investor who came to ask for an explanation brought relevant certificates. Do you have any?"    "I forgot to bring it, what happened?"    The middle-aged man wanted to kick Jiang Jin over, but he was pinned against the wall by Jiang Jin and could not move. He could only curse and yell.    "You bitch, don't even think about throwing dirty water on me, I..."    Before he could finish speaking, Jiang Jin took out his phone from his pocket and forcefully scanned his face to unlock it. She clicked on the photo album and showed the phone screen to the crowd.    "This is a photo of him and Mr. Gou. Are you willing to believe my words now?"    "The purpose of the Gou family's group sending people to cause trouble is to destroy the Li family. Originally, the Li fam